# Work order
Restate all of the data further down without additions, please.

# Source
~~~
Below is a relaxed NiBiO3 crystal, with properties calculated at the PBE+U level.

Properties
VASP energy   -51.7 eV per cell
Density of states at the Fermi level   0.2359 states/eV/atom

Lattice parameters (Å, degrees): 5.730 5.489 3.866 90.00 90.60 90.00
Positions (direct):
Ni1 0.000 0.000 0.000
Ni2 0.500 0.500 0.000
Bi1 0.080 0.500 0.477
Bi2 0.580 0.000 0.477
O1 0.221 0.270 0.008
O2 0.221 0.730 0.008
O3 0.468 0.500 0.501
O4 0.721 0.230 0.008
O5 0.721 0.770 0.008
O6 0.968 0.000 0.501

----------

# GGA-PBE TeSO3, optimized geometry
data_TeSO3
_chemical_formula_sum 'Te1 S1 O3'
_cell_length_a 3.889
_cell_length_b 3.889
_cell_length_c 3.889
_cell_angle_alpha 90.00
_cell_angle_beta 90.00
_cell_angle_gamma 90.00
_space_group_name_H-M_alt 'P 1'
_space_group_IT_number 1
_space_group_name_Hall 'P 1'
loop_
_atom_site_label
_atom_site_fract_x
_atom_site_fract_y
_atom_site_fract_z
S1 0.000 0.000 0.000
Te1 0.500 0.500 0.500
O1 0.000 0.500 0.000
O2 0.000 0.000 0.500
O3 0.500 0.000 0.000
# - Energy relative to the elements, uncorrected: 257 meV/atom
# - Symmetry: No. 221
# - Energy: -0.30662 Ry/atom
# - Crystal system: cubic



# GGA-PBE TeS2O, optimized geometry
data_TeS2O
_chemical_formula_sum 'Te1 S2 O1'
_cell_length_a 7.467
_cell_length_b 7.467
_cell_length_c 7.467
_cell_angle_alpha 29.03
_cell_angle_beta 29.03
_cell_angle_gamma 29.03
_space_group_name_H-M_alt 'P 1'
_space_group_IT_number 1
_space_group_name_Hall 'P 1'
loop_
_atom_site_label
_atom_site_fract_x
_atom_site_fract_y
_atom_site_fract_z
S1 0.919 0.919 0.919
S2 0.081 0.081 0.081
Te1 0.500 0.500 0.500
O1 0.000 0.000 0.000
# - ΔE to the lowest computed polymorph: 0 meV per atom
# - Energy relative to the elements, uncorrected: 243 meV/atom
# - Symmetry: No. 166
# - Energy: -0.28268 Ry/atom
# - Crystal system: trigonal



# GGA-PBE TeS2O, optimized geometry
data_TeS2O
_chemical_formula_sum 'Te2 S4 O2'
_cell_length_a 5.433
_cell_length_b 5.433
_cell_length_c 6.684
_cell_angle_alpha 66.02
_cell_angle_beta 66.02
_cell_angle_gamma 90.00
_space_group_name_H-M_alt 'P 1'
_space_group_IT_number 1
_space_group_name_Hall 'P 1'
loop_
_atom_site_label
_atom_site_fract_x
_atom_site_fract_y
_atom_site_fract_z
S1 0.438 0.125 0.250
S2 0.312 0.625 0.250
S3 0.375 0.562 0.750
S4 0.875 0.688 0.750
Te1 0.000 0.000 0.000
Te2 0.750 0.250 0.500
O1 0.500 0.500 0.000
O2 0.250 0.750 0.500
# - ΔE to the lowest computed polymorph: 347 meV per atom
# - Energy relative to the elements, uncorrected: 590 meV/atom
# - Symmetry: No. 122
# - Energy: -0.25718 Ry/atom
# - Crystal system: tetragonal



# GGA-PBE TeSO3, optimized geometry
data_TeSO3
_chemical_formula_sum 'Te1 S1 O3'
_cell_length_a 4.042
_cell_length_b 4.042
_cell_length_c 4.042
_cell_angle_alpha 90.00
_cell_angle_beta 90.00
_cell_angle_gamma 90.00
_space_group_name_H-M_alt 'P 1'
_space_group_IT_number 1
_space_group_name_Hall 'P 1'
loop_
_atom_site_label
_atom_site_fract_x
_atom_site_fract_y
_atom_site_fract_z
S1 0.500 0.500 0.500
Te1 0.000 0.000 0.000
O1 0.000 0.500 0.000
O2 0.000 0.000 0.500
O3 0.500 0.000 0.000
# - Energy relative to the elements, uncorrected: 129 meV/atom
# - Symmetry: No. 221
# - Energy: -0.31606 Ry/atom
# - Crystal system: cubic



# GGA-PBE TeS2O, optimized geometry
data_TeS2O
_chemical_formula_sum 'Te1 S2 O1'
_cell_length_a 4.490
_cell_length_b 4.490
_cell_length_c 4.490
_cell_angle_alpha 60.00
_cell_angle_beta 60.00
_cell_angle_gamma 60.00
_space_group_name_H-M_alt 'P 1'
_space_group_IT_number 1
_space_group_name_Hall 'P 1'
loop_
_atom_site_label
_atom_site_fract_x
_atom_site_fract_y
_atom_site_fract_z
S1 0.250 0.250 0.250
S2 0.750 0.750 0.750
Te1 0.500 0.500 0.500
O1 0.000 0.000 0.000
# - ΔE to the lowest computed polymorph: 527 meV per atom
# - Energy relative to the elements, uncorrected: 770 meV/atom
# - Symmetry: No. 225
# - Energy: -0.24392 Ry/atom
# - Crystal system: cubic



# GGA-PBE TeSO2, optimized geometry
data_TeSO2
_chemical_formula_sum 'Te2 S2 O4'
_cell_length_a 6.494
_cell_length_b 6.494
_cell_length_c 6.520
~~~

# Worked solution
Below is a relaxed NiBiO3 crystal, with properties calculated at the PBE+U level.

Properties
VASP energy   -51.7 eV per cell
Density of states at the Fermi level   0.2359 states/eV/atom

Lattice parameters (Å, degrees): 5.730 5.489 3.866 90.00 90.60 90.00
Positions (direct):
Ni1 0.000 0.000 0.000
Ni2 0.500 0.500 0.000
Bi1 0.080 0.500 0.477
Bi2 0.580 0.000 0.477
O1 0.221 0.270 0.008
O2 0.221 0.730 0.008
O3 0.468 0.500 0.501
O4 0.721 0.230 0.008
O5 0.721 0.770 0.008
O6 0.968 0.000 0.501

----------

# GGA-PBE TeSO3, optimized geometry
data_TeSO3
_chemical_formula_sum 'Te1 S1 O3'
_cell_length_a 3.889
_cell_length_b 3.889
_cell_length_c 3.889
_cell_angle_alpha 90.00
_cell_angle_beta 90.00
_cell_angle_gamma 90.00
_space_group_name_H-M_alt 'P 1'
_space_group_IT_number 1
_space_group_name_Hall 'P 1'
loop_
_atom_site_label
_atom_site_fract_x
_atom_site_fract_y
_atom_site_fract_z
S1 0.000 0.000 0.000
Te1 0.500 0.500 0.500
O1 0.000 0.500 0.000
O2 0.000 0.000 0.500
O3 0.500 0.000 0.000
# - Energy relative to the elements, uncorrected: 257 meV/atom
# - Symmetry: No. 221
# - Energy: -0.30662 Ry/atom
# - Crystal system: cubic



# GGA-PBE TeS2O, optimized geometry
data_TeS2O
_chemical_formula_sum 'Te1 S2 O1'
_cell_length_a 7.467
_cell_length_b 7.467
_cell_length_c 7.467
_cell_angle_alpha 29.03
_cell_angle_beta 29.03
_cell_angle_gamma 29.03
_space_group_name_H-M_alt 'P 1'
_space_group_IT_number 1
_space_group_name_Hall 'P 1'
loop_
_atom_site_label
_atom_site_fract_x
_atom_site_fract_y
_atom_site_fract_z
S1 0.919 0.919 0.919
S2 0.081 0.081 0.081
Te1 0.500 0.500 0.500
O1 0.000 0.000 0.000
# - ΔE to the lowest computed polymorph: 0 meV per atom
# - Energy relative to the elements, uncorrected: 243 meV/atom
# - Symmetry: No. 166
# - Energy: -0.28268 Ry/atom
# - Crystal system: trigonal



# GGA-PBE TeS2O, optimized geometry
data_TeS2O
_chemical_formula_sum 'Te2 S4 O2'
_cell_length_a 5.433
_cell_length_b 5.433
_cell_length_c 6.684
_cell_angle_alpha 66.02
_cell_angle_beta 66.02
_cell_angle_gamma 90.00
_space_group_name_H-M_alt 'P 1'
_space_group_IT_number 1
_space_group_name_Hall 'P 1'
loop_
_atom_site_label
_atom_site_fract_x
_atom_site_fract_y
_atom_site_fract_z
S1 0.438 0.125 0.250
S2 0.312 0.625 0.250
S3 0.375 0.562 0.750
S4 0.875 0.688 0.750
Te1 0.000 0.000 0.000
Te2 0.750 0.250 0.500
O1 0.500 0.500 0.000
O2 0.250 0.750 0.500
# - ΔE to the lowest computed polymorph: 347 meV per atom
# - Energy relative to the elements, uncorrected: 590 meV/atom
# - Symmetry: No. 122
# - Energy: -0.25718 Ry/atom
# - Crystal system: tetragonal



# GGA-PBE TeSO3, optimized geometry
data_TeSO3
_chemical_formula_sum 'Te1 S1 O3'
_cell_length_a 4.042
_cell_length_b 4.042
_cell_length_c 4.042
_cell_angle_alpha 90.00
_cell_angle_beta 90.00
_cell_angle_gamma 90.00
_space_group_name_H-M_alt 'P 1'
_space_group_IT_number 1
_space_group_name_Hall 'P 1'
loop_
_atom_site_label
_atom_site_fract_x
_atom_site_fract_y
_atom_site_fract_z
S1 0.500 0.500 0.500
Te1 0.000 0.000 0.000
O1 0.000 0.500 0.000
O2 0.000 0.000 0.500
O3 0.500 0.000 0.000
# - Energy relative to the elements, uncorrected: 129 meV/atom
# - Symmetry: No. 221
# - Energy: -0.31606 Ry/atom
# - Crystal system: cubic



# GGA-PBE TeS2O, optimized geometry
data_TeS2O
_chemical_formula_sum 'Te1 S2 O1'
_cell_length_a 4.490
_cell_length_b 4.490
_cell_length_c 4.490
_cell_angle_alpha 60.00
_cell_angle_beta 60.00
_cell_angle_gamma 60.00
_space_group_name_H-M_alt 'P 1'
_space_group_IT_number 1
_space_group_name_Hall 'P 1'
loop_
_atom_site_label
_atom_site_fract_x
_atom_site_fract_y
_atom_site_fract_z
S1 0.250 0.250 0.250
S2 0.750 0.750 0.750
Te1 0.500 0.500 0.500
O1 0.000 0.000 0.000
# - ΔE to the lowest computed polymorph: 527 meV per atom
# - Energy relative to the elements, uncorrected: 770 meV/atom
# - Symmetry: No. 225
# - Energy: -0.24392 Ry/atom
# - Crystal system: cubic



# GGA-PBE TeSO2, optimized geometry
data_TeSO2
_chemical_formula_sum 'Te2 S2 O4'
_cell_length_a 6.494
_cell_length_b 6.494
_cell_length_c 6.520